# Source
........
Structure and computed powder X-ray diffraction pattern of LiMn2B8O14 (DFT lattice parameters and positions (GGA+U); λ = 1.5418 Å (Cu Kα)).

Structural model:
```
data_LiMn2B8O14
_symmetry_space_group_name_H-M 'C 1 2 1'
_symmetry_Int_Tables_number 5
_cell_length_a 7.111
_cell_length_b 11.269
_cell_length_c 5.176
_cell_angle_alpha 90.00
_cell_angle_beta 90.64
_cell_angle_gamma 90.00
loop_
_symmetry_equiv_pos_as_xyz
'x,y,z'
'-x,y,-z'
'x+1/2,y+1/2,z'
'-x+1/2,y+1/2,-z'
loop_
_atom_site_label
_atom_site_fract_x
_atom_site_fract_y
_atom_site_fract_z
_atom_site_occupancy
Li1 0.000 0.000 0.000 1
Mn1 0.163 0.563 0.726 1
B1 0.000 0.338 0.500 1
B2 0.000 0.341 0.000 1
B3 0.000 0.777 0.000 1
B4 0.000 0.784 0.500 1
B5 0.224 0.181 0.748 1
B6 0.236 0.945 0.742 1
O1 0.028 0.855 0.754 1
O2 0.032 0.266 0.752 1
O3 0.146 0.061 0.736 1
O4 0.164 0.421 0.025 1
O5 0.166 0.414 0.481 1
O6 0.166 0.701 0.022 1
O7 0.169 0.710 0.477 1
```

The 10 most intense peaks (2θ from 5° to 70°), by intensity:
Position (°2θ)  Rel. int.
14.7  100
29.7  83
44.5  78
38.8  65
30.7  62
31.9  58
47.7  58
34.6  56
38.3  48
32.1  44


Structure and computed powder X-ray diffraction pattern of Li5Mn3B4O12 (DFT lattice parameters and positions (GGA+U); λ = 1.5418 Å (Cu Kα)).

Structural model:
```
data_Li5Mn3B4O12
_symmetry_space_group_name_H-M 'P 1 c 1'
_symmetry_Int_Tables_number 7
_cell_length_a 5.289
_cell_length_b 9.185
_cell_length_c 11.045
_cell_angle_alpha 90.00
_cell_angle_beta 116.79
_cell_angle_gamma 90.00
loop_
_symmetry_equiv_pos_as_xyz
'x,y,z'
'x,-y,z+1/2'
loop_
_atom_site_label
_atom_site_fract_x
_atom_site_fract_y
_atom_site_fract_z
_atom_site_occupancy
Li1 0.000 0.076 0.000 1
Li2 0.043 0.234 0.539 1
Li3 0.053 0.261 0.219 1
Li4 0.082 0.418 0.746 1
Li5 0.579 0.249 0.730 1
Mn1 0.480 0.240 0.980 1
Mn2 0.520 0.421 0.496 1
Mn3 0.573 0.073 0.255 1
B1 0.002 0.425 0.997 1
B2 0.083 0.078 0.755 1
B3 0.508 0.092 0.505 1
B4 0.570 0.415 0.236 1
O1 0.152 0.057 0.221 1
O2 0.217 0.423 0.956 1
O3 0.244 0.203 0.760 1
O4 0.381 0.417 0.294 1
O5 0.386 0.221 0.519 1
O6 0.409 0.037 0.035 1
O7 0.649 0.453 0.698 1
O8 0.670 0.286 0.211 1
O9 0.725 0.092 0.467 1
O10 0.859 0.093 0.786 1
O11 0.883 0.295 0.007 1
O12 0.925 0.440 0.529 1
```

The 10 most intense peaks (2θ from 5° to 70°), by intensity:
Position (°2θ)  Rel. int.
33.9  100
18.8  94
36.5  82
20.4  54
19.3  36
30.6  35
53.5  29
40.2  29
60.6  22
51.0  20

~~~~~

# 1
Calculated PXRD pattern of SrCa7Ti3Mn5O21 for λ = 1.5418 Å (Cu Kα), from a DFT-relaxed cell (PBE+U, the Materials Project).

The 10 most intense peaks (5 to 70 degrees two-theta), by angle:
11.33 deg, intensity 18; 32.00 deg, intensity 100; 32.28 deg, intensity 91; 32.43 deg, intensity 54; 32.60 deg, intensity 47; 45.77 deg, intensity 37; 46.46 deg, intensity 35; 46.60 deg, intensity 30; 57.17 deg, intensity 26; 57.79 deg, intensity 24

Structure:
```
SrCa7Ti3Mn5O21
1.0
7.797 0.000 0.000
0.079 7.818 0.000
0.107 0.068 7.929
Sr Ca Ti Mn O
1 7 3 5 21
Direct
0.000 0.000 0.000 Sr
0.008 0.525 0.486 Ca
0.027 0.541 0.975 Ca
0.029 0.002 0.528 Ca
0.474 0.968 0.022 Ca
0.481 0.535 0.494 Ca
0.491 0.562 0.998 Ca
0.494 0.988 0.462 Ca
0.271 0.269 0.757 Ti
0.734 0.277 0.250 Ti
0.735 0.284 0.783 Ti
0.216 0.265 0.265 Mn
0.243 0.759 0.255 Mn
0.264 0.768 0.750 Mn
0.744 0.764 0.248 Mn
0.771 0.763 0.741 Mn
0.016 0.781 0.761 O
0.169 0.263 0.977 O
0.179 0.281 0.550 O
0.182 0.522 0.239 O
0.239 0.751 0.494 O
0.248 0.773 0.013 O
0.257 0.007 0.262 O
0.264 0.521 0.778 O
0.285 0.020 0.749 O
0.494 0.726 0.252 O
0.512 0.292 0.722 O
0.516 0.275 0.348 O
0.519 0.751 0.748 O
0.701 0.009 0.206 O
0.727 0.312 0.013 O
0.764 0.732 0.000 O
0.775 0.518 0.290 O
0.785 0.807 0.487 O
0.829 0.078 0.739 O
0.835 0.477 0.711 O
0.939 0.217 0.336 O
```

---

# 2
Calculated PXRD pattern of Ba2MgMn2O6 for λ = 1.5418 Å (Cu Kα), from a DFT-relaxed cell (PBE+U, the Materials Project).

The 10 most intense peaks (5 to 70 degrees two-theta), by angle:
........

# Activity
Next, print the whole of the entries further above without altering anything.

# Done
Structure and computed powder X-ray diffraction pattern of LiMn2B8O14 (DFT lattice parameters and positions (GGA+U); λ = 1.5418 Å (Cu Kα)).

Structural model:
```
data_LiMn2B8O14
_symmetry_space_group_name_H-M 'C 1 2 1'
_symmetry_Int_Tables_number 5
_cell_length_a 7.111
_cell_length_b 11.269
_cell_length_c 5.176
_cell_angle_alpha 90.00
_cell_angle_beta 90.64
_cell_angle_gamma 90.00
loop_
_symmetry_equiv_pos_as_xyz
'x,y,z'
'-x,y,-z'
'x+1/2,y+1/2,z'
'-x+1/2,y+1/2,-z'
loop_
_atom_site_label
_atom_site_fract_x
_atom_site_fract_y
_atom_site_fract_z
_atom_site_occupancy
Li1 0.000 0.000 0.000 1
Mn1 0.163 0.563 0.726 1
B1 0.000 0.338 0.500 1
B2 0.000 0.341 0.000 1
B3 0.000 0.777 0.000 1
B4 0.000 0.784 0.500 1
B5 0.224 0.181 0.748 1
B6 0.236 0.945 0.742 1
O1 0.028 0.855 0.754 1
O2 0.032 0.266 0.752 1
O3 0.146 0.061 0.736 1
O4 0.164 0.421 0.025 1
O5 0.166 0.414 0.481 1
O6 0.166 0.701 0.022 1
O7 0.169 0.710 0.477 1
```

The 10 most intense peaks (2θ from 5° to 70°), by intensity:
Position (°2θ)  Rel. int.
14.7  100
29.7  83
44.5  78
38.8  65
30.7  62
31.9  58
47.7  58
34.6  56
38.3  48
32.1  44


Structure and computed powder X-ray diffraction pattern of Li5Mn3B4O12 (DFT lattice parameters and positions (GGA+U); λ = 1.5418 Å (Cu Kα)).

Structural model:
```
data_Li5Mn3B4O12
_symmetry_space_group_name_H-M 'P 1 c 1'
_symmetry_Int_Tables_number 7
_cell_length_a 5.289
_cell_length_b 9.185
_cell_length_c 11.045
_cell_angle_alpha 90.00
_cell_angle_beta 116.79
_cell_angle_gamma 90.00
loop_
_symmetry_equiv_pos_as_xyz
'x,y,z'
'x,-y,z+1/2'
loop_
_atom_site_label
_atom_site_fract_x
_atom_site_fract_y
_atom_site_fract_z
_atom_site_occupancy
Li1 0.000 0.076 0.000 1
Li2 0.043 0.234 0.539 1
Li3 0.053 0.261 0.219 1
Li4 0.082 0.418 0.746 1
Li5 0.579 0.249 0.730 1
Mn1 0.480 0.240 0.980 1
Mn2 0.520 0.421 0.496 1
Mn3 0.573 0.073 0.255 1
B1 0.002 0.425 0.997 1
B2 0.083 0.078 0.755 1
B3 0.508 0.092 0.505 1
B4 0.570 0.415 0.236 1
O1 0.152 0.057 0.221 1
O2 0.217 0.423 0.956 1
O3 0.244 0.203 0.760 1
O4 0.381 0.417 0.294 1
O5 0.386 0.221 0.519 1
O6 0.409 0.037 0.035 1
O7 0.649 0.453 0.698 1
O8 0.670 0.286 0.211 1
O9 0.725 0.092 0.467 1
O10 0.859 0.093 0.786 1
O11 0.883 0.295 0.007 1
O12 0.925 0.440 0.529 1
```

The 10 most intense peaks (2θ from 5° to 70°), by intensity:
Position (°2θ)  Rel. int.
33.9  100
18.8  94
36.5  82
20.4  54
19.3  36
30.6  35
53.5  29
40.2  29
60.6  22
51.0  20

~~~~~

# 1
Calculated PXRD pattern of SrCa7Ti3Mn5O21 for λ = 1.5418 Å (Cu Kα), from a DFT-relaxed cell (PBE+U, the Materials Project).

The 10 most intense peaks (5 to 70 degrees two-theta), by angle:
11.33 deg, intensity 18; 32.00 deg, intensity 100; 32.28 deg, intensity 91; 32.43 deg, intensity 54; 32.60 deg, intensity 47; 45.77 deg, intensity 37; 46.46 deg, intensity 35; 46.60 deg, intensity 30; 57.17 deg, intensity 26; 57.79 deg, intensity 24

Structure:
```
SrCa7Ti3Mn5O21
1.0
7.797 0.000 0.000
0.079 7.818 0.000
0.107 0.068 7.929
Sr Ca Ti Mn O
1 7 3 5 21
Direct
0.000 0.000 0.000 Sr
0.008 0.525 0.486 Ca
0.027 0.541 0.975 Ca
0.029 0.002 0.528 Ca
0.474 0.968 0.022 Ca
0.481 0.535 0.494 Ca
0.491 0.562 0.998 Ca
0.494 0.988 0.462 Ca
0.271 0.269 0.757 Ti
0.734 0.277 0.250 Ti
0.735 0.284 0.783 Ti
0.216 0.265 0.265 Mn
0.243 0.759 0.255 Mn
0.264 0.768 0.750 Mn
0.744 0.764 0.248 Mn
0.771 0.763 0.741 Mn
0.016 0.781 0.761 O
0.169 0.263 0.977 O
0.179 0.281 0.550 O
0.182 0.522 0.239 O
0.239 0.751 0.494 O
0.248 0.773 0.013 O
0.257 0.007 0.262 O
0.264 0.521 0.778 O
0.285 0.020 0.749 O
0.494 0.726 0.252 O
0.512 0.292 0.722 O
0.516 0.275 0.348 O
0.519 0.751 0.748 O
0.701 0.009 0.206 O
0.727 0.312 0.013 O
0.764 0.732 0.000 O
0.775 0.518 0.290 O
0.785 0.807 0.487 O
0.829 0.078 0.739 O
0.835 0.477 0.711 O
0.939 0.217 0.336 O
```

---

# 2
Calculated PXRD pattern of Ba2MgMn2O6 for λ = 1.5418 Å (Cu Kα), from a DFT-relaxed cell (PBE+U, the Materials Project).

The 10 most intense peaks (5 to 70 degrees two-theta), by angle: